Given:
/*
(1)
{
  "formula": "AgHgIr2",
  "functional": "PBE-GGA",
  "state": "optimized geometry",
  "lattice": [[2.830, 0.000, 0.000], [0.000, 2.830, 0.000], [0.000, 0.000, 8.403]],
  "species": ["Ag", "Hg", "Ir", "Ir"],
  "fractional_positions": [[0.000, 0.000, 0.000], [0.000, 0.000, 0.500], [0.500, 0.500, 0.244], [0.500, 0.500, 0.756]],
  "space_group": "P4/mmm, No. 123",
  "volume_a3_per_atom": 16.83,
  "e_form_mev_per_atom": 661
}

(2)
{
  "formula": "Ac3Sb4Rh2",
  "functional": "PBE-GGA",
  "state": "optimized geometry",
  "lattice": [[5.931, -2.401, 0.000], [5.931, 2.401, 0.000], [-2.729, 0.000, 9.003]],
  "species": ["Ac", "Ac", "Ac", "Sb", "Sb", "Sb", "Sb", "Rh", "Rh"],
  "fractional_positions": [[0.000, 0.000, 0.000], [0.373, 0.373, 0.301], [0.627, 0.627, 0.699], [0.094, 0.094, 0.394], [0.297, 0.297, 0.892], [0.703, 0.703, 0.108], [0.906, 0.906, 0.606], [0.306, 0.306, 0.598], [0.694, 0.694, 0.402]],
  "raw_formation_energy_ev_per_atom": -0.892,
  "space_group": "C2/m, No. 12",
  "volume_a3_per_atom": 28.49
}

(3)
{
  "formula": "PmHo3",
  "functional": "PBE-GGA",
  "state": "optimized geometry",
  "lattice": [[-2.514, 2.514, 5.027], [2.514, -2.514, 5.027], [2.514, 2.514, -5.027]],
  "species": ["Pm", "Ho", "Ho", "Ho"],
  "fractional_positions": [[0.000, 0.000, 0.000], [0.250, 0.750, 0.500], [0.500, 0.500, 0.000], [0.750, 0.250, 0.500]],
  "space_group": "I4/mmm, No. 139",
  "de_polymorph_mev_per_atom": 8,
  "volume_a3_per_atom": 31.76,
  "e_form_mev_per_atom": 19
}

Please write out number 3 again, unchanged.
{
  "formula": "PmHo3",
  "functional": "PBE-GGA",
  "state": "optimized geometry",
  "lattice": [[-2.514, 2.514, 5.027], [2.514, -2.514, 5.027], [2.514, 2.514, -5.027]],
  "species": ["Pm", "Ho", "Ho", "Ho"],
  "fractional_positions": [[0.000, 0.000, 0.000], [0.250, 0.750, 0.500], [0.500, 0.500, 0.000], [0.750, 0.250, 0.500]],
  "space_group": "I4/mmm, No. 139",
  "de_polymorph_mev_per_atom": 8,
  "volume_a3_per_atom": 31.76,
  "e_form_mev_per_atom": 19
}

Repeat the second record exactly.
{
  "formula": "Ac3Sb4Rh2",
  "functional": "PBE-GGA",
  "state": "optimized geometry",
  "lattice": [[5.931, -2.401, 0.000], [5.931, 2.401, 0.000], [-2.729, 0.000, 9.003]],
  "species": ["Ac", "Ac", "Ac", "Sb", "Sb", "Sb", "Sb", "Rh", "Rh"],
  "fractional_positions": [[0.000, 0.000, 0.000], [0.373, 0.373, 0.301], [0.627, 0.627, 0.699], [0.094, 0.094, 0.394], [0.297, 0.297, 0.892], [0.703, 0.703, 0.108], [0.906, 0.906, 0.606], [0.306, 0.306, 0.598], [0.694, 0.694, 0.402]],
  "raw_formation_energy_ev_per_atom": -0.892,
  "space_group": "C2/m, No. 12",
  "volume_a3_per_atom": 28.49
}

----------

YMgAgPb | GGA-PBE | relaxed

Unit cell a=5.147 b=5.147 c=5.147 alpha=60.00 beta=60.00 gamma=60.00
Fractional positions:
Ag 0.000 0.000 0.000
Y 0.750 0.750 0.750
Pb 0.500 0.500 0.500
Mg 0.250 0.250 0.250

Computed properties:
VASP energy ... -15.84 eV for the cell shown
V ... 24.1 Å³/atom
DOS(E_F) ... 0.251 states/eV per atom
Size of the total moment ... 0.000 Bohr magnetons per cell
Mass density ... 7.4 g/cm³


MgZnAgPb | GGA-PBE | relaxed

Unit cell a=4.969 b=4.969 c=4.969 alpha=60.00 beta=60.00 gamma=60.00
Fractional positions:
Zn 0.500 0.500 0.500
Mg 0.250 0.250 0.250
Ag 0.000 0.000 0.000
Pb 0.750 0.750 0.750

Computed properties:
VASP energy ... -9.18 eV for the cell shown
V ... 21.7 Å³/atom
DOS(E_F) ... 0.437 states/eV per atom
Size of the total moment ... 0.000 Bohr magnetons per cell
Mass density ... 7.7 g/cm³


MgZrAgPb | GGA-PBE | relaxed

Unit cell a=4.995 b=4.995 c=4.995 alpha=60.00 beta=60.00 gamma=60.00
Fractional positions:
Mg 0.500 0.500 0.500
Zr 0.000 0.000 0.000
Ag 0.250 0.250 0.250
Pb 0.750 0.750 0.750

Computed properties:
VASP energy ... -16.61 eV for the cell shown
V ... 22.0 Å³/atom
DOS(E_F) ... 0.816 states/eV per atom
Size of the total moment ... 0.000 Bohr magnetons per cell
Mass density ... 8.1 g/cm³


MgZrAgPb | GGA-PBE | relaxed

Unit cell a=4.230 b=4.332 c=4.715 alpha=90.00 beta=90.00 gamma=90.00
*/
Brief:
The reader should duplicate the whole of the material further up exactly.
Done:
(1)
{
  "formula": "AgHgIr2",
  "functional": "PBE-GGA",
  "state": "optimized geometry",
  "lattice": [[2.830, 0.000, 0.000], [0.000, 2.830, 0.000], [0.000, 0.000, 8.403]],
  "species": ["Ag", "Hg", "Ir", "Ir"],
  "fractional_positions": [[0.000, 0.000, 0.000], [0.000, 0.000, 0.500], [0.500, 0.500, 0.244], [0.500, 0.500, 0.756]],
  "space_group": "P4/mmm, No. 123",
  "volume_a3_per_atom": 16.83,
  "e_form_mev_per_atom": 661
}

(2)
{
  "formula": "Ac3Sb4Rh2",
  "functional": "PBE-GGA",
  "state": "optimized geometry",
  "lattice": [[5.931, -2.401, 0.000], [5.931, 2.401, 0.000], [-2.729, 0.000, 9.003]],
  "species": ["Ac", "Ac", "Ac", "Sb", "Sb", "Sb", "Sb", "Rh", "Rh"],
  "fractional_positions": [[0.000, 0.000, 0.000], [0.373, 0.373, 0.301], [0.627, 0.627, 0.699], [0.094, 0.094, 0.394], [0.297, 0.297, 0.892], [0.703, 0.703, 0.108], [0.906, 0.906, 0.606], [0.306, 0.306, 0.598], [0.694, 0.694, 0.402]],
  "raw_formation_energy_ev_per_atom": -0.892,
  "space_group": "C2/m, No. 12",
  "volume_a3_per_atom": 28.49
}

(3)
{
  "formula": "PmHo3",
  "functional": "PBE-GGA",
  "state": "optimized geometry",
  "lattice": [[-2.514, 2.514, 5.027], [2.514, -2.514, 5.027], [2.514, 2.514, -5.027]],
  "species": ["Pm", "Ho", "Ho", "Ho"],
  "fractional_positions": [[0.000, 0.000, 0.000], [0.250, 0.750, 0.500], [0.500, 0.500, 0.000], [0.750, 0.250, 0.500]],
  "space_group": "I4/mmm, No. 139",
  "de_polymorph_mev_per_atom": 8,
  "volume_a3_per_atom": 31.76,
  "e_form_mev_per_atom": 19
}

Please write out number 3 again, unchanged.
{
  "formula": "PmHo3",
  "functional": "PBE-GGA",
  "state": "optimized geometry",
  "lattice": [[-2.514, 2.514, 5.027], [2.514, -2.514, 5.027], [2.514, 2.514, -5.027]],
  "species": ["Pm", "Ho", "Ho", "Ho"],
  "fractional_positions": [[0.000, 0.000, 0.000], [0.250, 0.750, 0.500], [0.500, 0.500, 0.000], [0.750, 0.250, 0.500]],
  "space_group": "I4/mmm, No. 139",
  "de_polymorph_mev_per_atom": 8,
  "volume_a3_per_atom": 31.76,
  "e_form_mev_per_atom": 19
}

Repeat the second record exactly.
{
  "formula": "Ac3Sb4Rh2",
  "functional": "PBE-GGA",
  "state": "optimized geometry",
  "lattice": [[5.931, -2.401, 0.000], [5.931, 2.401, 0.000], [-2.729, 0.000, 9.003]],
  "species": ["Ac", "Ac", "Ac", "Sb", "Sb", "Sb", "Sb", "Rh", "Rh"],
  "fractional_positions": [[0.000, 0.000, 0.000], [0.373, 0.373, 0.301], [0.627, 0.627, 0.699], [0.094, 0.094, 0.394], [0.297, 0.297, 0.892], [0.703, 0.703, 0.108], [0.906, 0.906, 0.606], [0.306, 0.306, 0.598], [0.694, 0.694, 0.402]],
  "raw_formation_energy_ev_per_atom": -0.892,
  "space_group": "C2/m, No. 12",
  "volume_a3_per_atom": 28.49
}

----------

YMgAgPb | GGA-PBE | relaxed

Unit cell a=5.147 b=5.147 c=5.147 alpha=60.00 beta=60.00 gamma=60.00
Fractional positions:
Ag 0.000 0.000 0.000
Y 0.750 0.750 0.750
Pb 0.500 0.500 0.500
Mg 0.250 0.250 0.250

Computed properties:
VASP energy ... -15.84 eV for the cell shown
V ... 24.1 Å³/atom
DOS(E_F) ... 0.251 states/eV per atom
Size of the total moment ... 0.000 Bohr magnetons per cell
Mass density ... 7.4 g/cm³


MgZnAgPb | GGA-PBE | relaxed

Unit cell a=4.969 b=4.969 c=4.969 alpha=60.00 beta=60.00 gamma=60.00
Fractional positions:
Zn 0.500 0.500 0.500
Mg 0.250 0.250 0.250
Ag 0.000 0.000 0.000
Pb 0.750 0.750 0.750

Computed properties:
VASP energy ... -9.18 eV for the cell shown
V ... 21.7 Å³/atom
DOS(E_F) ... 0.437 states/eV per atom
Size of the total moment ... 0.000 Bohr magnetons per cell
Mass density ... 7.7 g/cm³


MgZrAgPb | GGA-PBE | relaxed

Unit cell a=4.995 b=4.995 c=4.995 alpha=60.00 beta=60.00 gamma=60.00
Fractional positions:
Mg 0.500 0.500 0.500
Zr 0.000 0.000 0.000
Ag 0.250 0.250 0.250
Pb 0.750 0.750 0.750

Computed properties:
VASP energy ... -16.61 eV for the cell shown
V ... 22.0 Å³/atom
DOS(E_F) ... 0.816 states/eV per atom
Size of the total moment ... 0.000 Bohr magnetons per cell
Mass density ... 8.1 g/cm³


MgZrAgPb | GGA-PBE | relaxed

Unit cell a=4.230 b=4.332 c=4.715 alpha=90.00 beta=90.00 gamma=90.00